Your job: say how many lines of the notes further below hold the word "Total", as a bare number.

=====
[1]
ORCA calculation (wB97M-V/def2-TZVPD) on a structure of composition C24H29LiN4S5Si.

```
64
Properties=species:S:1:pos:R:3:forces:R:3
Li 0.63555 -0.76033 1.57846 0.228 0.101 0.188
S 2.99850 -4.30446 1.24389 -0.002 0.151 -0.187
S 3.86601 -3.01807 2.60026 -0.032 0.153 0.171
S 3.11675 -1.05505 2.61390 -0.152 -0.361 0.095
S 4.35262 0.16232 1.49752 0.327 -0.070 0.284
C 1.46181 1.61972 -4.59159 0.003 0.015 0.032
C 1.29462 0.95262 -3.23443 -0.014 0.053 0.043
N 0.99819 1.92438 -2.17824 -0.007 0.022 -0.009
C 1.48508 1.78710 -0.89093 0.353 -0.032 -0.106
S 0.44883 2.01232 0.41683 -0.125 0.000 0.124
N 2.77513 1.51163 -0.72322 -0.382 0.289 -0.306
C 3.86222 1.79477 -1.64846 -0.018 -0.126 0.047
C 4.75562 0.58749 -1.91076 0.067 0.074 -0.009
H 1.59292 0.86774 -5.37318 0.008 0.012 0.018
H 2.32760 2.28546 -4.59644 -0.024 0.001 -0.008
H 0.57943 2.21469 -4.83823 0.012 -0.013 -0.007
H 2.19362 0.40823 -2.96452 0.057 -0.078 0.037
H 0.49150 0.21296 -3.28137 -0.052 -0.049 0.010
H 0.01731 2.15522 -2.12028 -0.032 -0.024 -0.004
H 3.08677 1.28482 0.23947 -0.018 -0.195 -0.040
H 4.47428 2.57823 -1.19082 -0.003 0.058 -0.005
H 3.45082 2.20359 -2.56900 -0.007 0.046 -0.029
H 5.09683 0.17579 -0.95837 -0.059 -0.048 -0.114
H 5.62849 0.88861 -2.49610 -0.021 0.023 -0.056
H 4.22861 -0.19759 -2.45351 -0.055 -0.061 0.000
C -1.61235 2.99848 5.91488 0.000 -0.026 -0.026
C -1.51245 3.21106 4.54559 -0.009 -0.036 0.008
C -1.55127 2.13794 3.66438 0.005 -0.034 0.004
C -1.70912 0.81621 4.10493 -0.021 0.037 0.039
C -1.80510 0.63493 5.49136 -0.049 0.022 -0.027
C -1.75441 1.69881 6.38385 -0.006 0.008 -0.024
Si -1.60933 -0.70856 2.92634 -0.183 0.185 -0.076
C -3.07292 -0.44773 1.68653 -0.035 0.011 -0.042
C -4.03806 -1.45060 1.51273 0.002 0.025 -0.014
C -5.00930 -1.38565 0.52019 0.023 0.036 0.002
C -5.06121 -0.29338 -0.33769 0.023 -0.001 0.030
C -4.12244 0.72080 -0.18828 0.001 -0.037 0.015
C -3.14549 0.63620 0.79649 0.005 -0.042 0.029
H -1.56612 3.83213 6.60644 -0.004 0.004 0.004
H -1.38161 4.21694 4.16131 -0.003 -0.005 -0.008
H -1.43192 2.34053 2.60505 0.006 -0.010 0.028
H -1.92581 -0.37209 5.87884 0.012 0.014 0.000
H -1.82579 1.51407 7.45091 -0.001 -0.011 -0.002
H -2.32343 -1.69828 3.82567 0.099 -0.050 0.002
H -4.01766 -2.31264 2.17264 -0.007 0.013 -0.011
H -5.73017 -2.19009 0.41515 0.004 -0.006 0.007
H -5.81552 -0.23657 -1.11456 -0.003 -0.004 -0.002
H -4.13543 1.57373 -0.85917 0.003 0.004 0.012
H -2.39488 1.41741 0.83943 -0.014 -0.014 0.007
N 2.19336 -2.51219 -1.73018 -0.066 -0.193 0.066
C 2.13630 -1.86821 -0.52034 0.037 0.335 -0.450
N 0.94549 -1.41426 -0.24991 -0.073 0.029 -0.071
C 0.13323 -1.82711 -1.29744 -0.040 -0.157 0.010
C -1.22795 -1.64169 -1.50781 -0.053 0.073 -0.024
C -1.78409 -2.17698 -2.66158 0.009 0.039 0.060
C -1.01171 -2.89801 -3.57970 0.119 -0.001 0.059
C 0.34751 -3.10047 -3.37082 -0.096 0.011 -0.084
C 0.89890 -2.54772 -2.22515 0.117 -0.005 0.117
H 2.88287 -3.22800 -1.89574 0.111 0.095 0.035
H 3.02554 -1.61322 0.03533 0.030 -0.255 0.164
H -1.82912 -1.09849 -0.78820 0.000 0.005 -0.010
H -2.84300 -2.04013 -2.84416 0.001 -0.011 -0.002
H -1.48108 -3.31349 -4.46349 -0.002 0.003 0.001
H 0.94645 -3.66590 -4.07474 0.002 0.008 0.005
```
Forces are in eV/Å.

Output
LUMO   0.1555 Eh
E_HOMO   -0.726 eV
Energy above the lowest of the compared OMol25 structures with the same formula, charge and spin   0.6 kcal/mol
Total charge   -2
Maximum force   0.6 eV/Å



[2]
ORCA calculation (wB97M-V/def2-TZVPD) on an isolated molecule of C24H29N3O3 in a non-equilibrium geometry.

```
59
Properties=species:S:1:pos:R:3:forces:R:3
C 7.68964 0.60489 1.37050 0.094 0.214 0.095
O 7.11243 -0.56087 0.83252 -0.192 -0.251 -0.140
C 5.84372 -0.50049 0.35308 -0.176 -0.191 -0.121
C 5.33433 -1.69094 -0.17288 0.314 0.135 0.158
C 4.06006 -1.74331 -0.68756 -0.211 0.283 -0.006
C 3.24779 -0.60450 -0.69562 0.654 0.228 0.323
C 1.91115 -0.63538 -1.23798 -0.989 -0.022 -0.377
N 1.15742 0.40318 -1.28841 1.126 0.149 0.503
N -0.03050 0.09210 -1.84063 -0.364 -0.865 -0.569
=====

1